Hundreds of Arab visitors to the Temple Mount, the holiest site in Judaism, surrounded and harassed a group of Jews visiting the site on Wednesday morning.
The group's guide, Asaf Fried, told Arutz Sheva about the incident in which Arab rioters shouted at the Jews, chanting "Allahu Akbar" ("Allah is great"), and holding up three fingers in a celebratory sign of the three Israeli teens kidnapped two weeks ago.
Video from the charged confrontation, in which at one point a Muslim woman hits the camera, can be seen here:
Fried told Arutz Sheva that in the 22 years that he has been visited the Mount, he has never seen such a serious and shocking breaching of the public order.
Israeli police authorized the visit of Fried's large group of Jews who came from around Israel, but the harassment began soon after they ascended to the Mount.
"We're already used to them shouting at us," said Friend, noting that police directives mandate that when faced by Arab shouting, Jewish groups are to advance quickly and try to escape the Arab visitors.
This time however things got out of hand, as more and more Arab rioters joined the jeering mob as the Jewish group advanced.
"It started with children in a Hamas summer camp, continued with women who joined and slowly the wave of attackers swelled. More and more older people joined the calls of 'Khaybar Khaybar O Jews,'" said Fried, noting an anti-Semitic Muslim call recalling an alleged massacre of Jews in Mohammed's times.
Fried reported that the Muslim rioters threw shoes, along with the shouts and curses. Eventually the deafening din caused Fried to stop trying to provide the group he was guiding with information about the holy site, given that he simply could not be heard.
Attached: quantum chemistry results:
┌──
The following is a quantum chemistry calculation of a molecular structure, C37H39Cl2NO2S3SbTi at a distorted geometry, from the Open Molecules 2025 dataset.

Element x y z (Å)
1 Ti -0.542 -0.173 -1.060
2 Cl -4.029 0.632 2.269
3 C -3.178 -0.878 2.073
4 C -3.303 -1.922 3.027
5 C -2.716 -3.152 2.848
6 Cl -2.762 -4.339 4.049
7 C -1.874 -3.398 1.678
8 C -1.130 -4.589 1.489
9 C -0.193 -4.611 0.538
10 C -0.080 -3.489 -0.272
11 N -0.743 -2.382 -0.127
12 C -1.570 -2.290 0.907
13 C -2.239 -0.985 1.071
14 O -1.867 -0.006 0.242
15 H -3.972 -1.869 3.853
16 H -1.341 -5.443 2.108
17 H 0.415 -5.479 0.319
18 H 0.499 -3.559 -1.198
19 C 1.862 3.331 -2.426
20 C 1.415 1.915 -2.283
21 S -0.361 1.745 -2.304
22 C 2.254 0.848 -2.261
23 C 3.726 1.049 -2.529
24 S 1.710 -0.764 -1.880
25 H 1.450 3.802 -3.305
26 H 2.929 3.284 -2.733
27 H 1.771 4.018 -1.588
28 H 4.036 1.929 -1.935
29 H 3.891 1.165 -3.571
30 H 4.269 0.201 -2.164
31 C -4.891 -1.419 -1.885
32 C -5.004 -1.252 -3.406
33 C -3.675 -1.439 -4.187
34 S -2.414 -0.358 -3.668
35 O -1.931 -1.006 -2.397
36 C -1.098 -0.547 -4.928
37 C -0.347 -1.817 -4.634
38 C -0.838 -3.075 -5.407
39 H -5.822 -1.675 -1.392
40 H -4.541 -0.479 -1.426
41 H -4.126 -2.144 -1.571
42 H -5.336 -0.196 -3.619
43 H -5.634 -1.954 -3.978
44 H -3.819 -1.368 -5.249
45 H -3.266 -2.434 -4.029
46 H -0.473 0.253 -4.711
47 H -1.563 -0.368 -5.955
48 H -0.285 -1.991 -3.547
49 H 0.661 -1.721 -4.978
50 H -1.829 -3.400 -5.059
51 H -0.148 -3.939 -5.214
52 H -0.815 -2.908 -6.481
53 C 2.016 -1.866 5.279
54 C 1.718 -2.427 4.053
55 C 1.478 -1.664 2.927
56 C 1.554 -0.281 2.985
57 C 1.949 0.245 4.303
58 C 2.205 -0.506 5.401
59 Sb 1.101 1.002 1.315
60 C 2.871 2.102 1.398
61 C 3.990 1.396 1.030
62 C 5.218 2.006 0.957
63 C 5.261 3.369 1.145
64 C 4.130 4.132 1.406
65 C 2.934 3.504 1.630
66 C -0.101 2.449 2.305
67 C -0.203 2.753 3.646
68 C -0.951 3.891 4.068
69 C -1.530 4.731 3.115
70 C -1.413 4.443 1.741
71 C -0.695 3.342 1.382
72 H 2.371 -2.602 5.991
73 H 1.615 -3.520 4.008
74 H 1.186 -2.113 1.978
75 H 2.040 1.297 4.472
76 H 2.571 -0.055 6.354
77 H 3.887 0.368 0.776
78 H 6.123 1.409 0.691
79 H 6.232 3.814 1.046
80 H 4.221 5.214 1.499
81 H 2.059 4.078 1.893
82 H 0.318 2.084 4.379
83 H -0.911 4.205 5.151
84 H -2.079 5.646 3.294
85 H -1.775 5.054 0.963
86 H -0.522 3.147 0.306

Atomic forces in eV per Å
0.5 -1.2 -0.4
0.2 -0.5 0.1
0.6 0.3 0.0
-0.2 -1.2 -0.8
0.8 1.2 -1.9
-0.4 -0.8 0.9
-0.2 0.0 2.4
-1.3 0.4 1.1
0.7 -0.5 -0.9
0.8 -0.2 -2.0
0.9 1.0 -0.6
-1.8 1.4 0.3
0.6 -0.4 -0.3
-1.2 -0.7 1.5
-0.3 0.6 0.6
0.0 -0.1 0.2
0.0 0.0 0.1
0.3 0.1 0.4
2.0 -0.2 -1.3
-0.4 -0.2 0.2
0.3 0.5 -0.1
-0.5 1.1 0.0
-0.6 0.4 1.8
-0.3 -0.5 -0.1
-0.8 0.2 -0.2
-0.4 0.4 0.6
-0.2 -0.3 0.3
0.3 -0.4 -0.6
0.4 0.3 -1.0
0.4 -0.5 0.1
0.6 0.1 0.3
0.6 0.9 -1.0
-0.4 -1.1 0.6
-0.1 2.4 -0.7
0.7 -0.6 0.7
-1.8 -1.2 -0.5
-0.1 -1.7 -1.1
0.4 -0.6 1.1
-0.2 0.0 -0.2
-0.2 -0.2 -0.2
-0.3 -0.1 -0.3
0.0 -1.1 0.1
-0.4 0.3 0.9
-0.1 0.4 -0.5
-0.1 -0.3 0.2
1.0 1.7 0.4
0.6 -0.6 1.3
-0.1 0.1 -0.6
0.8 0.5 0.1
0.2 0.1 -0.4
-0.5 0.8 -0.1
└──
Police tried to separate between the approaching Arab rioters and the Jewish group, with more officers showing up as the situation grew quickly out of the control.
However, Fried reports that the roughly 40 officers' attempt to separate collapsed in the face of the hundreds of Arab rioters. At that point, the police occupied themselves with hurrying the Jewish group off of the Mount as quickly as possible.
"We can't pray, but they can curse and throw things"
"It wasn't just an unpleasant feeling, but rather a feeling that at any second someone could whip out a knife and stab someone. The local rules of visiting prevent us from praying out loud and we are forced to receive those rules and pray in our hearts, but they are allowed to curse, shout and throw things at us," said Fried, summarizing the discriminatory status quo.
Fried reports that the police avoid arresting Arab rioters or those leading the mob so as to "keep the quiet," and that if any arrests occur, the rioters are quickly released out of a fear of Arab repercussions.
"The Arabs understand that. They feel in charge. They're manipulating the kidnapping and the minor Israeli response - they feel they are winning. I would expect as punishment for the kidnapping that the Arab movement on the Mount be arrested, or at least that the Hamas summer camp on the Mount would be stopped," said Fried.
The visitors to the Mount in Fried's group report that the incident gave them a fuller understanding as to the current reality of the holy site, which is under the de facto control of the Jordanian Waqf (Islamic trust).
Interior Committee keeping "status quo"
There has been an ongoing discussion about Jewish prayer rights on the Mount, with a meeting on the topic held by a sub-committee of the Interior Committee a day earlier on Tuesday. Fried remarked that the debate about rights has given Hamas a free hand to take over the site by creating a reality on the ground.
Fried lamented the words of Police Commissioner Yohanan Danino at the Committee meeting on Tuesday, in which he said "police blocked entrance to the Temple Mount on Friday to 30,000 Arabs; that's a number larger than all the Jews who ascended the Mount since the Six Day War" when the site was liberated by Israel.
The statement reveals the reason why Arab visitors feel in charge of the site, says Fried, adding "those who don't ascend (the Mount) give the site to Hamas."
MK Zevulun Kalfa (Jewish Home), a member of the sub-committee on the Temple Mount, opposed the Committee recommendations to keep the status quo of the Temple Mount, even though those recommendations were from members of his own Jewish Home party.
Kalfa noted that one suggestion of the Committee was to maintain the practice of closing the Mount to Jewish visitors after Arab mobs riot there, an event that has often repeated itself. Additionally, the Committee decided to let the Waqf charge tourists to visit the Mount.
The MK argued that Hamas has been given control of the holiest site in Judaism.
Arab riot on the Temple Mount Asaf Fried